This is Part 7 of a 11-part series based on the research paper “Reinforcement Learning In Agent-based Market Simulation: Unveiling Realistic Stylized Facts And Behavior”. Use the table of links below to navigate to the next part.
Table of Links
Part 1: Abstract & Introduction
Part 4: Agents & Simulation Details
Part 8: Market and Agent Responsiveness to External Events
Part 9: Conclusion & References
Part 10: Additional Simulation Results
Part 11: Simulation Configuration
5 Experiment Results
5.1 Statistical Characteristics of Observed Asset Prices
We use Google, Apple, and Amazon’s tick level limit order book data on 2012-06-21 from LOBSTER [28]. We are presenting graphs for Group A only due to page limitations. The continual learning Group A is the most interesting one to analyze.
Heavy tails and kurtosis decay. We measure leptokurtic behavior using excess kurtosis which should be significantly larger than 0. Decay means that kurtosis decreases as the sampling frequency of returns decreases (seconds, minutes, hours, etc.). Figure 3 shows the Quantile-Quantile plots of simulations for the continual training RL agents (Group A) and ZI agents respectively, compared with real data. The real data, as well as data obtained using RL and ZI agents, all exhibit strong fat tail return and price distributions. The results from the ZI agents simulation show a milder tail. Results from RL agents closely align with the real data. The average kurtosis from the 10 simulations is presented in Table 1. The table shows the kurtosis decays as data is sampled less frequently.
Absence of auto-correlations. [1] describes this property as small insignificant values for auto-correlation of the return time series unless within a very short time interval. Figure 3 shows a strong negative correlation in the first lag and that the auto-correlation function decays to 0 for increasing lags. The tighter boxplots in 3 imply the ZI agents generate a very consistent market, while the real data and RL agents exhibit more variability in this analysis. The author of [1] cites the bounce of market orders between bid and ask prices as the reason why the first lag shows stronger negative auto-correlation.
Slow decay of auto-correlation for absolute returns. The auto-correlation function of (1-second) absolute returns decays slowly as a function of the time lags, this implies a long-range time dependency of return magnitude. Figure 4 shows auto-correlation of absolute returns from the simulations using RL agents (Figure 4a) and the ones using ZI agents (Figure 4b). The blue lines in both plots indicate the autocorrelation of the absolute returns of the real data. It can be seen that the auto-correlations from all three methods are decreasing slowly with increasing lags. Figure 4b shows again tighter boxes indicating the simulation using ZI agents is more consistent. Comparing both plots, we can see that RL agents simulate a market in which the return magnitude has a larger autocorrelation than the market simulated by ZI agents.
Volatility clustering. Cont et al. [1] use autocorrelation of squared return time series to measure the volatility clustering effect. Figure 5 shows decreasing auto-correlations in both types of simulation. This indicates that they all exhibit volatility clustering effects. Similar to the auto-correlations of absolute returns, the auto-correlation in the ZI-agent simulated market shown in Figure 5b is significantly lower than that of the real data, indicating a less pronounced clustering effect in the ZI-agent simulated market than the RL-agent simulated market.
Materials data, kept here for reference
/*
Entry from the Alexandria database: Ba2LiSb4Rh3 after structural relaxation (PBE).

Cell and atoms, written as POSCAR:
```
Ba2LiSb4Rh3
1.0
-1.133 -1.707 -4.276
3.013 -3.605 0.641
-7.887 -5.807 4.409
Sb Rh Ba Li
4 3 2 1
Direct
0.000 0.000 0.000
0.500 0.500 0.000
0.000 0.500 0.371
0.500 0.000 0.629
0.000 0.000 0.500
0.000 0.500 0.118
0.500 0.000 0.882
0.500 0.000 0.254
0.000 0.500 0.746
0.500 0.500 0.500
```

Calculated values
V ... 241.5 Å³ per cell
Crystal system ... tetragonal
Raw formation energy ... -0.71 eV per atom

=====

Entry from the Alexandria database: Ba3Li2Sb4Rh2 after structural relaxation (PBE).

Cell and atoms, written as POSCAR:
```
Ba3Li2Sb4Rh2
1.0
-3.114 -2.645 -2.221
4.509 -1.131 -0.107
-2.059 -9.557 14.269
Rh Ba Sb Li
2 3 4 2
Direct
0.667 0.333 0.439
0.333 0.667 0.561
0.000 0.000 0.279
0.000 0.000 0.000
0.000 0.000 0.721
0.667 0.333 0.139
0.333 0.667 0.861
0.333 0.667 0.414
0.667 0.333 0.586
0.333 0.667 0.139
0.667 0.333 0.861
```

Calculated values
V ... 323.9 Å³ per cell
Crystal system ... trigonal
Raw formation energy ... -0.72 eV per atom

=====

Question: Number 1 is which compound?
Answer: Ba2LiSb4Rh3

=====

Question: What is the raw formation energy in the second record?
Answer: -0.72 eV per atom

=====

Question: What is the formula in the first record?
Answer: Ba2LiSb4Rh3
*/
To assess realistic behavior, the MM agents should control their inventory and rely on the Profit and Loss (PnL) from spread (providing liquidity) rather than from inventory (long-term investments). Figure 6 shows the average inventory evolution of all MM agents in the three groups over time. The continual training group has the smallest variation in the inventory, while the untrained group has the largest variation. We further separate the MM’s PnL into profit from spread and profit from holding inventory. The MMs in the continual training group profit on average $1.26 million from spread and lose $0.22 million from inventory. The results for MM agents from other groups are similar.
These materials data were left in the article by mistake =
____________
{
  "formula": "PrZnCu",
  "functional": "PBE-GGA",
  "state": "optimized geometry",
  "ef_ev_per_atom": -0.2671,
  "n_ef_per_ev_fu": 2.34,
  "volume_a3_per_atom": 21.293,
  "total_energy_ev_per_cell": -10.951,
  "lattice_angstrom": [[-1.369, 3.032, 1.635], [-1.388, -2.481, 3.437], [4.077, 1.810, 0.058]],
  "species": ["Pr", "Zn", "Cu"],
  "frac_coords": [[0.667, 0.333, 0.667], [0.167, 0.667, 0.333], [0.167, 0.000, 0.000]]
}

{
  "formula": "NaRhC2",
  "functional": "PBE-GGA",
  "state": "optimized geometry",
  "ef_ev_per_atom": 1.0634,
  "n_ef_per_ev_fu": 1.90,
  "volume_a3_per_atom": 16.941,
  "total_energy_ev_per_cell": -45.729,
  "lattice_angstrom": [[5.317, 0.000, 0.000], [0.000, 5.317, 0.000], [2.659, 2.659, 4.794]],
  "species": ["Na", "Na", "C", "C", "C", "C", "Rh", "Rh"],
  "frac_coords": [[0.500, 0.500, 0.000], [0.250, 0.750, 0.500], [0.756, 0.125, 0.250], [0.994, 0.625, 0.250], [0.375, 0.244, 0.750], [0.875, 0.006, 0.750], [0.000, 0.000, 0.000], [0.750, 0.250, 0.500]]
}

{
  "formula": "KCrCo3",
  "functional": "PBE-GGA",
  "state": "optimized geometry",
  "ef_ev_per_atom": 2.8366,
  "n_ef_per_ev_fu": 12.72,
  "volume_a3_per_atom": 16.228,
  "total_energy_ev_per_cell": -17.855,
  "polymorph_energy_kj_per_mol_atoms": 155.3,
  "lattice_angstrom": [[4.329, 0.000, 0.000], [0.000, 4.329, 0.000], [0.000, 0.000, 4.329]],
  "species": ["Cr", "K", "Co", "Co", "Co"],
  "frac_coords": [[0.500, 0.500, 0.500], [0.000, 0.000, 0.000], [0.000, 0.500, 0.000], [0.000, 0.000, 0.500], [0.500, 0.000, 0.000]]
}

----------

VASP calculation (PBE) on crystalline LaAu2SeI at its relaxed geometry.

## Properties
The space group is P4/mmm. As for the raw formation energy: 0.127 eV/atom. Its density of states at the Fermi level is 5.4 states/eV per cell. As for the crystal system: tetragonal.

```
data_LaAu2SeI
_chemical_formula_sum 'La1 Au2 Se1 I1'
_cell_length_a 5.792
_cell_length_b 5.744
_cell_length_c 5.792
_cell_angle_alpha 90.00
_cell_angle_beta 90.00
_cell_angle_gamma 90.00
_symmetry_space_group_name_H-M 'P 1'
_symmetry_Int_Tables_number 1
_symmetry_space_group_name_Hall 'P 1'
loop_
_atom_site_label
_atom_site_type_symbol
_atom_site_fract_x
_atom_site_fract_y
_atom_site_fract_z
I1 I 0.500 0.500 0.500
Au1 Au 0.000 0.000 0.500
Au2 Au 0.500 0.000 0.000
Se1 Se 0.000 0.500 0.000
La1 La 0.000 0.000 0.000
```

----------

Record 1
# SiTc2Ir | Alexandria via LeMat-Bulk | PBE | relaxed
data_SiTc2Ir
_chemical_formula_sum 'Si2 Tc4 Ir2'
_cell_length_a 2.906
_cell_length_b 4.350
_cell_length_c 8.824
_cell_angle_alpha 90.00
_cell_angle_beta 90.00
_cell_angle_gamma 90.00
_symmetry_space_group_name_H-M 'I m m m'
_symmetry_Int_Tables_number 71
_symmetry_space_group_name_Hall '-I 2 2'
loop_
_atom_site_label
_atom_site_fract_x
_atom_site_fract_y
_atom_site_fract_z
Si1 0.000 0.000 0.000
Tc1 0.000 0.500 0.278
Ir1 0.000 0.000 0.500
# Raw formation energy ... -0.239 eV/atom
# Total magnetic moment ... 0.0 Bohr magnetons per cell
# Calculated total energy ... -8.99 eV/atom

***
____________
(1) Zhiyuan Yao, Stevens Institute of Technology, Hoboken, New Jersey, USA (;
**Next to the piece, the page also holds data records**
____________
Entry 1:
The following is a DFT calculation (PBE) of a relaxed Rb2BiSeF6 crystal. Values from VASP.

Summary:
- Symmetry: I4/mmm, No. 139
- Calculated total energy: -40.90 eV per cell
- Crystal system: tetragonal
- Total magnetic moment: 1.0 Bohr magnetons per cell

```
&SYSTEM
  ibrav = 0, nat = 10, ntyp = 4
/
ATOMIC_SPECIES
Rb 85.47 Rb.upf
Bi 208.98 Bi.upf
Se 78.96 Se.upf
F 19.00 F.upf
CELL_PARAMETERS angstrom
-3.208 3.208 5.620
3.208 -3.208 5.620
3.208 3.208 -5.620
ATOMIC_POSITIONS crystal
Rb 0.250 0.750 0.500
Rb 0.750 0.250 0.500
Bi 0.000 0.000 0.000
Se 0.500 0.500 0.000
F 0.200 0.200 0.000
F 0.250 0.250 0.499
F 0.250 0.750 0.000
F 0.750 0.250 0.000
F 0.750 0.750 0.501
F 0.800 0.800 0.000
```

***

Entry 2:
The following is a DFT calculation (PBE) of a relaxed CaZn2Cd2 crystal. Values from VASP.

Summary:
- Symmetry: P4/mbm, No. 127
- Energy relative to the elements: -0.045 eV per atom
- E above lowest polymorph: 3.764 kcal/mol of atoms
- Crystal system: tetragonal
- Total magnetic moment: 0.0 Bohr magnetons per cell

```
&SYSTEM
  ibrav = 0, nat = 10, ntyp = 3
/
ATOMIC_SPECIES
Ca 40.08 Ca.upf
Zn 65.41 Zn.upf
Cd 112.41 Cd.upf
CELL_PARAMETERS angstrom
8.210 0.000 0.000
0.000 8.210 0.000
0.000 0.000 3.266
ATOMIC_POSITIONS crystal
Ca 0.000 0.000 0.000
Ca 0.500 0.500 0.000
Zn 0.173 0.327 0.500
Zn 0.327 0.827 0.500
Zn 0.673 0.173 0.500
Zn 0.827 0.673 0.500
Cd 0.127 0.627 0.000
Cd 0.373 0.127 0.000
Cd 0.627 0.873 0.000
Cd 0.873 0.373 0.000
```

***

Entry 3:
The following is a DFT calculation (PBE) of a relaxed YCoIr2 crystal. Values from VASP.

Summary:
- Symmetry: Cm, No. 8
- Energy relative to the elements: -0.083 eV per atom
- E above lowest polymorph: 2.357 kcal/mol of atoms
- Crystal system: monoclinic
- Total magnetic moment: 2.2 Bohr magnetons per cell

```
&SYSTEM
  ibrav = 0, nat = 8, ntyp = 3
/
ATOMIC_SPECIES
Y 88.91 Y.upf
Co 58.93 Co.upf
Ir 192.22 Ir.upf
CELL_PARAMETERS angstrom
9.222 0.000 0.000
0.000 2.978 0.000
-1.060 0.000 4.877
ATOMIC_POSITIONS crystal
Y 0.000 0.000 0.000
Y 0.500 0.500 0.000
Co 0.238 0.000 0.714
Co 0.738 0.500 0.714
Ir 0.003 0.500 0.502
Ir 0.262 0.500 0.327
Ir 0.503 0.000 0.502
Ir 0.762 0.000 0.327
```

***

Entry 4:
The following is a DFT calculation (PBE) of a relaxed TlPt3Br crystal. Values from VASP.

Summary:
- Symmetry: Pm-3m, No. 221
- E above lowest polymorph: 0.000 kcal/mol of atoms
- Crystal system: cubic
- Total magnetic moment: 0.0 Bohr magnetons per cell

```
&SYSTEM
  ibrav = 0, nat = 5, ntyp = 3
/
ATOMIC_SPECIES
Tl 204.38 Tl.upf
Pt 195.08 Pt.upf
Br 79.90 Br.upf
CELL_PARAMETERS angstrom
4.849 0.000 0.000
0.000 4.849 0.000
0.000 0.000 4.849
ATOMIC_POSITIONS crystal
Tl 0.000 0.000 0.000
Pt 0.000 0.500 0.500
Pt 0.500 0.000 0.500
Pt 0.500 0.500 0.000
Br 0.500 0.500 0.500
```

***

Entry 5:
The following is a DFT calculation (PBE) of a relaxed K5Ta3 crystal. Values from VASP.

Summary:
- Symmetry: Cmmm, No. 65
- Energy relative to the elements: 1.022 eV per atom
- Crystal system: orthorhombic
____________
**End of the data records**
(2) Zheng Li, Stevens Institute of Technology, Hoboken, New Jersey, USA (;
(3) Matthew Thomas, Stevens Institute of Technology, Hoboken, New Jersey, USA (;
(4) Ionut Florescu, Stevens Institute of Technology, Hoboken, New Jersey, USA (
This paper is available on arxiv under CC BY-NC-SA 4.0 DEED license.